[Work order]
What is needed: quote everything underneath unchanged.

[Material]
A plane-wave DFT calculation with r²SCAN was carried out for CdGa2Te4 after structural relaxation.

```
CdGa2Te4
1.0
6.2185 0.0000 0.0000
0.0000 6.2185 0.0000
0.0000 0.0000 11.9106
Cd Ga Te
2 4 8
Direct
0.0000 0.0000 0.0000
0.5000 0.5000 0.5000
0.0000 0.0000 0.5000
0.0000 0.5000 0.7500
0.5000 0.0000 0.2500
0.5000 0.5000 0.0000
0.2267 0.7552 0.3628
0.2448 0.2267 0.6372
0.2552 0.2733 0.1372
0.2733 0.7448 0.8628
0.7267 0.2552 0.8628
0.7448 0.7267 0.1372
0.7552 0.7733 0.6372
0.7733 0.2448 0.3628
```

[Done]
A plane-wave DFT calculation with r²SCAN was carried out for CdGa2Te4 after structural relaxation.

```
CdGa2Te4
1.0
6.2185 0.0000 0.0000
0.0000 6.2185 0.0000
0.0000 0.0000 11.9106
Cd Ga Te
2 4 8
Direct
0.0000 0.0000 0.0000
0.5000 0.5000 0.5000
0.0000 0.0000 0.5000
0.0000 0.5000 0.7500
0.5000 0.0000 0.2500
0.5000 0.5000 0.0000
0.2267 0.7552 0.3628
0.2448 0.2267 0.6372
0.2552 0.2733 0.1372
0.2733 0.7448 0.8628
0.7267 0.2552 0.8628
0.7448 0.7267 0.1372
0.7552 0.7733 0.6372
0.7733 0.2448 0.3628
```